Spanish B1 module 3: Sueños (Dreams)
This is learning module 3 of 6 of our Spanish B1 syllabus. Each learning module contains 6 till 8 chapters.
Full learning program: B1
Learning goals:
- Expresa tus deseos y anhelos en la vida. (Express your desires and wishes in life.)
- Tiempo condicional. (Conditional tense.)
Word list (82)
Core vocabulary
Verbs: 17,
Adjectives: 17,
Nouns: 32,
Sentences / word combination: 15
Context vocabulary:
Spanish | English |
Almuerzo Valenciano | Valencian Lunch |
Ambicioso | Ambitious |
América | America |
Aprovechar | To take advantage of |
Asia | Asia |
Aventurero | Adventurous |
Coleccionar | To collect |
Complicado | Complicated |
Conseguir | To get |
Constante | Constant |
Crecer | To grow |
Depender | To depend |
Desempleado | Unemployed |
Despedir | To fire |
Difícil | Difficult |
Económico | Economical |
Educado | Polite |
El aniversario | The anniversary |
El ayudante | The assistant |
El bricolaje | The DIY |
El bufete | The law firm |
El continente | The continent |
El crucero | The cruise |
El crucigrama | The crossword |
El departamento | The flat |
El doctorado | The doctorate |
El globo | The balloon |
El hábito | The habit |
El laboratorio | The laboratory |
El miedo | The fear |
El nacimiento | The birth |
El oficio | The trade |
El pasatiempo | The pastime |
El premio | The prize |
Data records that have nothing to do with the text =
# Mg8SiW9O49

A relaxed Mg8SiW9O49 crystal (PBE with a Hubbard U, Materials Project).

Unit cell a=13.5993 b=13.5993 c=14.3827 alpha=90.09 beta=90.09 gamma=119.41
Last column: nearest neighbours and their distance in Å.
Sites, in units of the cell vectors:
Mg 0.4077 0.8152 0.7037  6 O 2.01-2.13
Mg 0.1847 0.5931 0.7032  6 O 2.01-2.13
Mg 0.4083 0.5894 0.7052  5 O 2.00-2.13
Mg 0.8152 0.4077 0.2037  6 O 2.01-2.13
Mg 0.5931 0.1847 0.2032  6 O 2.01-2.13
Mg 0.5894 0.4083 0.2052  5 O 2.00-2.13
Mg 0.4642 0.2310 0.5603  5 O 1.98-2.16
Mg 0.7681 0.2307 0.5596  5 O 1.97-2.15
Mg 0.7693 0.5366 0.5602  5 O 1.97-2.17
Mg 0.2310 0.4642 0.0603  5 O 1.98-2.16
Mg 0.2307 0.7681 0.0596  5 O 1.97-2.15
Mg 0.5366 0.7693 0.0602  5 O 1.97-2.17
Mg 0.9961 0.9981 0.9296  6 O 1.97-2.11
Mg 0.9981 0.9961 0.4296  6 O 1.97-2.11
Mg 0.6664 0.3335 0.4107  6 O 2.04-2.07
Mg 0.3335 0.6664 0.9107  6 O 2.04-2.07
Si 0.6659 0.3330 0.0113  4 O 1.63-1.67
Si 0.3330 0.6659 0.5113  4 O 1.63-1.67
W 0.3298 0.9285 0.5052  3 O 1.79-1.92
W 0.0716 0.3997 0.5063  3 O 1.79-1.93
W 0.5987 0.6711 0.5074  4 O 1.79-1.96
W 0.9285 0.3298 0.0052  3 O 1.79-1.92
W 0.3997 0.0716 0.0063  3 O 1.79-1.93
W 0.6711 0.5987 0.0074  4 O 1.79-1.96
W 0.0718 0.6717 0.5047  3 O 1.79-1.93
W 0.3291 0.4006 0.5058  3 O 1.78-1.92
W 0.6011 0.9263 0.5079  4 O 1.79-1.98
W 0.6717 0.0718 0.0047  3 O 1.79-1.93
W 0.4006 0.3291 0.0058  3 O 1.78-1.92
W 0.9263 0.6011 0.0079  4 O 1.79-1.98
W 0.7605 0.2413 0.8120  5 O 1.78-1.97
W 0.7624 0.5204 0.8123  4 O 1.79-1.92
W 0.4779 0.2360 0.8121  5 O 1.78-2.00
W 0.2413 0.7605 0.3120  5 O 1.78-1.97
W 0.5204 0.7624 0.3123  4 O 1.79-1.92
W 0.2360 0.4779 0.3121  5 O 1.78-2.00
O 0.2910 0.9279 0.0153  1 W 1.79
O 0.0727 0.3638 0.0140  1 W 1.79
O 0.6356 0.7088 0.0144  1 W 1.79
O 0.9279 0.2910 0.5153  1 W 1.79
O 0.3638 0.0727 0.5140  1 W 1.79
O 0.7088 0.6356 0.5144  1 W 1.79
O 0.9274 0.6371 0.5133  1 W 1.79
O 0.3651 0.2912 0.5137  1 W 1.78
O 0.7090 0.0705 0.5167  1 W 1.79
O 0.6371 0.9274 0.0133  1 W 1.79
O 0.2912 0.3651 0.0137  1 W 1.78
O 0.0705 0.7090 0.0167  1 W 1.79
O 0.1593 0.8414 0.5194  2 W 2.02-2.03, 1 O 2.12
O 0.1599 0.3177 0.5190  2 W 2.01
O 0.6789 0.8362 0.5191  2 W 1.96-1.98
O 0.8414 0.1593 0.0194  2 W 2.02-2.03, 1 O 2.12
O 0.3177 0.1599 0.0190  2 W 2.01
O 0.8362 0.6789 0.0191  2 W 1.96-1.98
O 0.0491 0.5243 0.4713  2 W 1.93
O 0.4746 0.5236 0.4723  2 W 1.92-1.95
O 0.4757 0.9497 0.4724  2 W 1.92-1.95
O 0.5243 0.0491 0.9713  2 W 1.93
O 0.5236 0.4746 0.9723  2 W 1.92-1.95
O 0.9497 0.4757 0.9724  2 W 1.92-1.95
O 0.9046 0.2945 0.8674  2 W 1.90-2.03
O 0.7001 0.6057 0.8671  2 W 1.91-2.05
O 0.3876 0.0938 0.8677  2 W 1.89-2.04
O 0.2945 0.9046 0.3674  2 W 1.90-2.03
O 0.6057 0.7001 0.3671  2 W 1.91-2.05
O 0.0938 0.3876 0.3677  2 W 1.89-2.04
O 0.1095 0.6583 0.6232  1 W 1.81, 1 Mg 2.01
O 0.3422 0.4504 0.6249  1 W 1.82, 1 Mg 2.01
O 0.5485 0.8915 0.6261  1 W 1.82, 1 Mg 2.01
O 0.6583 0.1095 0.1232  1 W 1.81, 1 Mg 2.01
O 0.4504 0.3422 0.1249  1 W 1.82, 1 Mg 2.01
O 0.8915 0.5485 0.1261  1 W 1.82, 1 Mg 2.01
El safari | The safari |
El sentido del humor | The sense of humour |
Equivocarse | To make a mistake |
Estar en paz | To be at peace |
Europa | Europe |
Experimentar | To experience |
Explorar | To explore |
Fácil | Easy |
Hablar | To speak |
Jubilado | Retired |
La boda | The wedding |
La calidad de vida | The quality of life |
La caravana | The caravan |
La carrera profesional | The professional career |
La despedida de soltero | Bachelor party |
La disciplina | The discipline |
La estabilidad laboral | The job stability |
La jardinería | The gardening |
La maratón | The marathon |
La meta | The goal |
La muerte | The death |
La paciencia | The patience |
La persona | The person |
La pintura | The painting |
Licenciado | Graduate |
Llorar | To cry |
Lograr | To achieve |
Marcharse | To leave |
Oceanía | Oceania |
Paciente | Patient |
Personal | Personal |
Por suerte | Fortunately |
Someone pasted data records at this point:
<<<
(1)
DFT (PBE) results for Al3Co20B6 after structural relaxation.

a = 7.3988 Å, b = 7.3988 Å, c = 7.3988 Å
α = 60.00°, β = 60.00°, γ = 60.00°
Sites, in units of the cell vectors:
Co: 0.3825 0.3825 0.8526
Co: 0.6596 0.0000 0.3404
Co: 0.0000 0.0000 0.6596
Co: 0.6175 0.6175 0.6175
Co: 0.0000 0.3404 0.0000
Co: 0.8526 0.3825 0.3825
Co: 0.0000 0.6596 0.0000
Co: 0.6596 0.3404 0.0000
Co: 0.0000 0.0000 0.3404
Co: 0.3825 0.3825 0.3825
Co: 0.1474 0.6175 0.6175
Co: 0.3825 0.8526 0.3825
Co: 0.6175 0.1474 0.6175
Co: 0.6596 0.0000 0.0000
Co: 0.3404 0.0000 0.6596
Co: 0.3404 0.6596 0.0000
Co: 0.6175 0.6175 0.1474
Co: 0.0000 0.3404 0.6596
Co: 0.3404 0.0000 0.0000
Co: 0.0000 0.6596 0.3404
B: 0.2766 0.7234 0.7234
B: 0.2766 0.7234 0.2766
B: 0.2766 0.2766 0.7234
B: 0.7234 0.7234 0.2766
B: 0.7234 0.2766 0.2766
B: 0.7234 0.2766 0.7234
Al: 0.7500 0.7500 0.7500
Al: 0.0000 0.0000 0.0000
Al: 0.2500 0.2500 0.2500

Values from the calculation:
As for the space group: Fm-3m, No. 225. As for the electronic total energy: -0.25573 hartree per atom. The formation energy comes out at -0.287 eV/atom.


(2)
DFT (PBE) results for TiCl3 after structural relaxation.

a = 6.0981 Å, b = 6.0981 Å, c = 19.3379 Å
α = 89.87°, β = 89.87°, γ = 119.63°
Sites, in units of the cell vectors:
Cl: 0.6454 0.9996 0.9283
Cl: 0.3175 0.9639 0.5940
Cl: 0.9639 0.3175 0.5940
Cl: 0.3505 0.3505 0.9252
Cl: 0.3303 0.3303 0.4095
Cl: 0.6697 0.6697 0.5905
Cl: 0.6495 0.6495 0.0748
Cl: 0.6824 0.3284 0.2630
Cl: 0.3546 0.0004 0.0717
Cl: 0.0356 0.0356 0.2593
Cl: 0.9644 0.9644 0.7407
Cl: 0.0004 0.3546 0.0717
Cl: 0.0361 0.6825 0.4060
Cl: 0.9996 0.6454 0.9283
Cl: 0.3176 0.6716 0.7370
Cl: 0.3284 0.6824 0.2630
Cl: 0.6716 0.3176 0.7370
Cl: 0.6825 0.0361 0.4060
Ti: 0.3406 0.6594 0.0000
Ti: 0.6580 0.9771 0.6655
Ti: 0.0229 0.3420 0.3345
Ti: 0.9771 0.6580 0.6655
Ti: 0.3420 0.0229 0.3345
Ti: 0.6594 0.3406 0.0000

Values from the calculation:
As for the space group: C2/m, No. 12. As for the electronic total energy: -0.18176 hartree per atom. As for the MP2020-corrected energy: -5.406 eV per atom. The formation energy comes out at -2.046 eV/atom.


# 1
Entry from the Materials Project: a geometry-optimized Mn2Ga5 structure (GGA-PBE).

* symmetry: No. 127
* spin magnetization: 4.53 μB/f.u.

```
Mn2Ga5
1.0
8.847 0.000 0.000
0.000 8.847 0.000
0.000 0.000 2.702
Mn Ga
4 10
direct
0.679 0.179 0.500
0.821 0.679 0.500
0.321 0.821 0.500
0.179 0.321 0.500
0.707 0.435 0.000
0.500 0.000 0.000
0.065 0.793 0.000
0.793 0.935 0.000
0.565 0.707 0.000
0.293 0.565 0.000
0.207 0.065 0.000
0.000 0.500 0.000
0.435 0.293 0.000
0.935 0.207 0.000
```


# 2
Entry from the Materials Project: a geometry-optimized MnGa2N3 structure (GGA-PBE).

* symmetry: No. 36
* spin magnetization: 4.00 μB/f.u.

```
MnGa2N3
1.0
5.635 0.039 0.000
-2.783 4.821 0.000
0.000 0.000 5.208
N Mn Ga
6 2 4
direct
0.000 0.324 0.362
0.663 0.000 0.872
0.337 0.337 0.872
0.337 0.000 0.372
0.000 0.676 0.862
0.663 0.663 0.372
0.000 0.344 0.992
0.000 0.656 0.492
0.337 0.333 0.495
>>>
Quedarse | To stay |
Raro | Rare |
Misplaced calculated crystals
********
Compound: InAgTe2
Source: Materials Project
Functional: PBE-GGA
Structure: relaxed

Properties
Total energy after the MP2020 corrections (eV per atom): -3.465
Space-group type: No. 122
Maximum piezoelectric response (C/m²): 1.15

a b c (Å): 7.971 7.971 7.971
angles (deg): 131.15 131.15 71.57
Atoms (fractional coordinates):
In 0.000 0.000 0.000
In 0.750 0.250 0.500
Ag 0.250 0.750 0.500
Ag 0.500 0.500 0.000
Te 0.130 0.625 0.005
Te 0.375 0.380 0.505
Te 0.620 0.125 0.995
Te 0.875 0.870 0.495



Compound: InAgTe2
Source: Materials Project
Functional: PBE-GGA
Structure: relaxed

Properties
Total energy after the MP2020 corrections (eV per atom): -3.190
Space-group type: No. 156
Total magnetic moment (μB/f.u.): 0.00

a b c (Å): 4.790 4.790 43.910
angles (deg): 90.00 90.00 120.00
Atoms (fractional coordinates):
In 0.000 0.000 0.000
In 0.000 0.000 0.255
In 0.333 0.667 0.085
In 0.333 0.667 0.347
In 0.667 0.333 0.169
In 0.667 0.333 0.913
Ag 0.000 0.000 0.504
Ag 0.000 0.000 0.751
Ag 0.333 0.667 0.586
Ag 0.333 0.667 0.825
Ag 0.667 0.333 0.423
Ag 0.667 0.333 0.669
Te 0.000 0.000 0.067
Te 0.000 0.000 0.322
Te 0.000 0.000 0.569
Te 0.000 0.000 0.814
Te 0.333 0.667 0.152
Te 0.333 0.667 0.410
Te 0.333 0.667 0.651
Te 0.333 0.667 0.891
Te 0.667 0.333 0.236
Te 0.667 0.333 0.487
Te 0.667 0.333 0.733
Te 0.667 0.333 0.981



Compound: In5AgTe8
Source: Materials Project
Functional: PBE-GGA
Structure: relaxed

Properties
Total energy after the MP2020 corrections (eV per atom): -3.528
Space-group type: No. 111

a b c (Å): 6.326 6.326 12.846
angles (deg): 90.00 90.00 90.00
Atoms (fractional coordinates):
In 0.000 0.000 0.000
In 0.000 0.500 0.255
In 0.000 0.500 0.745
In 0.500 0.000 0.255
In 0.500 0.000 0.745
Ag 0.500 0.500 0.500
Te 0.229 0.229 0.613
Te 0.229 0.771 0.387
Te 0.277 0.277 0.112
Te 0.277 0.723 0.888
Te 0.723 0.277 0.888
Te 0.723 0.723 0.112
Te 0.771 0.229 0.387
Te 0.771 0.771 0.613



Compound: InAgTe2
Source: Materials Project
Functional: PBE-GGA
Structure: relaxed

Properties
Total energy after the MP2020 corrections (eV per atom): -3.348
Space-group type: No. 166
Total magnetic moment (μB/f.u.): 0.00

a b c (Å): 7.385 7.385 7.385
angles (deg): 33.83 33.83 33.83
Atoms (fractional coordinates):
In 0.000 0.000 0.000
Ag 0.500 0.500 0.500
Te 0.248 0.248 0.248
Te 0.752 0.752 0.752



Compound: In5AgTe8
Source: Materials Project
Functional: PBE-GGA
Structure: relaxed

Properties
Total energy after the MP2020 corrections (eV per atom): -3.529
Space-group type: No. 5

a b c (Å): 7.765 7.765 9.178
angles (deg): 90.23 90.23 107.80
Atoms (fractional coordinates):
In 0.000 0.000 0.000
In 0.001 0.520 0.753
In 0.480 0.520 0.500
In 0.480 0.999 0.247
In 0.991 0.009 0.500
Ag 0.491 0.509 0.000
Te 0.337 0.622 0.246
Te 0.378 0.128 0.519
Te 0.378 0.663 0.754
Te 0.379 0.129 0.986
Te 0.839 0.131 0.751
Te 0.869 0.161 0.249
Te 0.871 0.621 0.014
Te 0.872 0.622 0.481



Compound: InAgTe2
Source: Materials Project
Functional: PBE-GGA
Structure: relaxed

Properties
********
Recordado | Remembered |
Reflexionar | To reflect |
Sencillo | Simple |
Ser aficionado | To be an enthusiast |
Ser buena persona | Being a good person |
Ser un ejemplo | To be an example |
Ser un éxito | To be a success |
Subirse | To get on |
Superar | To overcome |
Tener carácter | Have character |
Tener estudios | To be educated |
Tener ilusión | To have hope |
Vivir con propósito | Live with purpose |
Único | Unique |